3 Sweet Promises Made By People In Deeply Intimate Marriages
(The article is interrupted by crystal structures)
┌──
A plane-wave DFT calculation with SCAN was carried out for a crystal of LiNbSeBr2 relaxed with PBEsol.

Its space-group type is P4/mmm (123). As for the raw formation energy: -65.9 kJ per mole of atoms. The volume comes out at 135 Å³/cell. As for the final energy: -19.586 eV per atom. For the total magnetization, the calculation gives 2.00 μB/cell.

Cell lengths 5.2197, 5.2197, 4.9730 Å; angles 90.00, 90.00, 90.00 degrees
Closest atoms and distances in Å follow each position.
Fractional coordinates of all 5 atoms:
Li 0.0000 0.0000 0.0000  8 Br 3.60, 4 Se 3.69
Nb 0.5000 0.5000 0.5000  2 Se 2.49, 4 Br 2.61
Se 0.5000 0.5000 0.0000  2 Nb 2.49
Br 0.0000 0.5000 0.5000  2 Nb 2.61
Br 0.5000 0.0000 0.5000  2 Nb 2.61

~~~~~

# Re2Ir4Rh3

A geometry-optimized Re2Ir4Rh3 structure (PBE, Alexandria via LeMat-Bulk).

Lattice parameters (Å, degrees): 3.8839 6.1201 6.1055 107.54 108.55 90.00
With the nearest neighbours (Å) after each atom.
Positions (direct):
Re  0.3291  0.9970  0.6583  5 Rh 2.67-2.77, 5 Ir 2.68-2.75, 2 Re 2.68
Re  0.6709  0.0030  0.3417  5 Rh 2.67-2.77, 5 Ir 2.68-2.75, 2 Re 2.68
Ir  0.5556  0.3262  0.1112  6 Rh 2.71-2.78, 2 Re 2.72-2.75, 4 Ir 2.72-2.81
Ir  0.7804  0.6783  0.5609  4 Rh 2.68-2.78, 3 Re 2.68, 5 Ir 2.72-2.84
Ir  0.4444  0.6738  0.8888  6 Rh 2.71-2.78, 2 Re 2.72-2.75, 4 Ir 2.72-2.81
Ir  0.2196  0.3217  0.4391  4 Rh 2.68-2.78, 3 Re 2.68, 5 Ir 2.72-2.84
Rh  0.8876  0.3319  0.7752  3 Re 2.67-2.75, 7 Ir 2.74-2.78, 2 Rh 2.74-2.76
Rh  0.1124  0.6681  0.2248  3 Re 2.67-2.75, 7 Ir 2.74-2.78, 2 Rh 2.74-2.76
Rh  0.0000  0.0000  0.0000  6 Ir 2.68-2.71, 2 Rh 2.74, 4 Re 2.77

The value obtained for the formation energy is -104.7 meV per atom. Its space group is C2/m, No. 12. The calculation puts the raw total energy at -9.26 eV/atom.
└──
You won't always be on the same page, but true connection doesn't require it.

Someone asked me recently how I managed to still have a passionate relationship with my partner. After all, we’ve been together for twenty-four years. She thought there was something wrong with her relationship because, after five years, she no longer had a desire for her partner.
My answer surprised her. The truth is, I hardly ever start with a great desire to be intimate with my partner. I know regular, satisfying intimacy is important to the health of relationships. I get excited regularly but rarely am I dying to be physical with him. The excitement is more like a bodily function, not directed at anyone in particular. But I know from experience once I get into it, I’ll have a great time. Even if I’m not excited to begin with, I get caught up in the act and have a great time.
I told my friend there are three components to having a passionate relationship with the same person over long periods, three promises you must make to keep that intimacy alive — physically and emotionally.
Three promises you both must make if you want to stay emotionally connected
Between two parts of the page: calculated crystals
- - -
{"formula": "K2ZrAl", "functional": "PBE", "state": "optimized geometry", "cell": [[-1.6285, 3.3190, 6.7430], [1.6285, -3.3190, 6.7430], [1.6285, 3.3190, -6.7430]], "species": ["K", "K", "Zr", "Al"], "frac_coords": [[0.0000, 0.0000, 0.0000], [0.7012, 0.2012, 0.5000], [0.4008, 0.4008, 0.0000], [0.2371, 0.7371, 0.5000]], "ef_ev_per_fu": 2.5, "mass_density_g_cm3": 2.2, "dft_energy_ev_per_atom": -3.00}

* * * * *

A geometry-optimized MgB3H structure, computed with PBE.

Unit cell a=3.4084 b=3.4084 c=3.4084 alpha=90.00 beta=90.00 gamma=90.00
Space group Pm-3m (No. 221)
Unique sites:
Mg  0.0000  0.0000  0.0000
B  0.0000  0.5000  0.5000
H  0.5000  0.5000  0.5000

The calculation puts the calculated volume at 40 Å³ per cell. Its magnetic moment is 0.000 μB per atom. The offset from the most stable computed form is 0 meV/atom. Its density is 2.4 g/cm3.
- - -
1. To be more creative
Nothing kills desire faster than routine (and screaming babies, but that’s another story). Experiment with different positions, role-playing, toys, and fantasies. And don’t forget to lubricate. Women who use it regularly report greater satisfaction. You may have to be creative with scheduling time for intimacy if you have children, but just because it’s on the schedule doesn’t mean it has to be boring.
Andrii Lemelianenko via Shutterstock
2. To be more loving
You may have to be willing to forgive your partner so you can feel more loving toward them. Stop holding a grudge and keeping score. Love is not a baseball game. People will treat you as you expect to be treated. When you consistently, honestly expect to be treated with love, that will become your experience. Although this concept is simple, it’s by no means easy. You may need therapy or a good life coach to help you get there.
The more loving you can be, the more likely you are to want to be physically intimate. And then a funny thing happens. The more you are intimate, the more loving you feel toward your partner. You may be less inclined to nitpick or get upset about the little things they do imperfectly. One remedy I often give couples who’ve become disconnected is to connect physically every day for seven days in a row. It provides a kickstart to their connection, and they become more loving toward each other.
3. To be transparent
**Someone pasted data records at this point:**
┌──
1.
VASP calculation (PBE) on a geometry-optimized ErZrTi2 structure.

Structure (CIF):
```
data_ErZrTi2
_space_group_name_H-M_alt 'P 1'
_space_group_IT_number 1
_cell_length_a 3.6103
_cell_length_b 3.6103
_cell_length_c 6.7132
_cell_angle_alpha 90.00
_cell_angle_beta 90.00
_cell_angle_gamma 90.00
loop_
_space_group_symop_operation_xyz
'x,y,z'
loop_
_atom_site_label
_atom_site_fract_x
_atom_site_fract_y
_atom_site_fract_z
Ti1 0.0000 0.0000 0.7944
Ti2 0.0000 0.0000 0.2056
Zr1 0.5000 0.5000 0.0000
Er1 0.5000 0.5000 0.5000
```

Properties
Energy of formation = 0.52 eV/f.u.

2.
VASP calculation (PBE) on a geometry-optimized PuTiTe2O structure.

Structure (CIF):
```
data_PuTiTe2O
_space_group_name_H-M_alt 'P 1'
_space_group_IT_number 1
_cell_length_a 3.9146
_cell_length_b 3.9146
_cell_length_c 14.1981
_cell_angle_alpha 90.00
_cell_angle_beta 90.00
_cell_angle_gamma 90.00
loop_
_space_group_symop_operation_xyz
'x,y,z'
loop_
_atom_site_label
_atom_site_fract_x
_atom_site_fract_y
_atom_site_fract_z
Pu1 0.5000 0.0000 0.5853
Pu2 0.0000 0.5000 0.4147
Ti1 0.5000 0.0000 0.0789
Ti2 0.0000 0.5000 0.9211
Te1 0.0000 0.5000 0.7125
Te2 0.0000 0.5000 0.1160
Te3 0.5000 0.0000 0.8840
Te4 0.5000 0.0000 0.2875
O1 0.0000 0.0000 0.5000
O2 0.5000 0.5000 0.5000
```

Properties
Formation energy from raw total energies = -35.37 kcal/mol of atoms

3.
VASP calculation (PBE) on a geometry-optimized SrSb7Pb12 structure.

Structure (CIF):
```
data_SrSb7Pb12
_space_group_name_H-M_alt 'P 1'
_space_group_IT_number 1
_cell_length_a 9.1205
_cell_length_b 9.5803
_cell_length_c 9.5803
_cell_angle_alpha 69.58
_cell_angle_beta 71.50
_cell_angle_gamma 108.50
loop_
_space_group_symop_operation_xyz
'x,y,z'
loop_
_atom_site_label
_atom_site_fract_x
_atom_site_fract_y
_atom_site_fract_z
Sr1 0.0000 0.0000 0.0000
Sb1 0.8137 0.1922 0.1868
Sb2 0.9995 0.8132 0.3790
Sb3 0.3785 0.3790 0.8078
Sb4 0.5000 0.0000 0.0000
Sb5 0.6215 0.6210 0.1922
Sb6 0.0005 0.1868 0.6210
Sb7 0.1863 0.8078 0.8132
Pb1 0.9253 0.5259 0.2096
Pb2 0.8651 0.7904 0.7355
Pb3 0.5960 0.3492 0.0365
Pb4 0.3674 0.9635 0.3857
Pb5 0.6006 0.7355 0.4741
Pb6 0.7532 0.3857 0.6508
Pb7 0.2468 0.6143 0.3492
Pb8 0.3995 0.2645 0.5259
Pb9 0.6326 0.0365 0.6143
Pb10 0.4040 0.6508 0.9635
Pb11 0.1349 0.2096 0.2645
Pb12 0.0747 0.4741 0.7904
```

Properties
Formation energy from raw total energies = -1.39 kcal/mol of atoms

4.
VASP calculation (PBE) on a geometry-optimized TaSbPOs2 structure.

Structure (CIF):
```
data_TaSbPOs2
_space_group_name_H-M_alt 'P 1'
_space_group_IT_number 1
_cell_length_a 4.8603
_cell_length_b 4.6618
_cell_length_c 4.8603
_cell_angle_alpha 90.00
_cell_angle_beta 90.00
_cell_angle_gamma 90.00
loop_
_space_group_symop_operation_xyz
'x,y,z'
loop_
_atom_site_label
_atom_site_fract_x
_atom_site_fract_y
_atom_site_fract_z
Sb1 0.5000 0.5000 0.5000
Os1 0.0000 0.0000 0.5000
Os2 0.5000 0.0000 0.0000
P1 0.0000 0.5000 0.0000
Ta1 0.0000 0.0000 0.0000
```

Properties
Formation energy from raw total energies = 35.40 kcal/mol of atoms

5.
└──
This is the most challenging of the three. Over time, little things can become big irritants. That cute snore when you were first dating becomes an ice pick in your brain and makes you seriously consider whether you could get away with murder. When you work on becoming more loving, your relationship will improve dramatically. But to keep things good, you have to become transparent with your emotions. That means no more pretending. It means no more allowing yourself to be treated or spoken to in ways that dishonor you.
As children, we see role models behaving this way and are told sometimes, you have to ignore an unappealing trait in an otherwise wonderful person. This disrespects both us and our partners. Being transparent is like being honest, with a turbo charge.
I’ll give you an example. An honest person might say, “I don’t feel like it right now.” A transparent person would say, “I don’t feel like it right now because I feel vulnerable. I’m afraid to be honest because I don’t want to hurt your feelings, but I’ll tell you why…” Transparency is honesty, owning your feelings, plus creating and maintaining emotional and physical boundaries that help you feel safe.
When two people are transparent with each other, it creates an incredible amount of safety in the relationship. This feeling of safety makes you want to be physically intimate.
Johanna Lyman is a culture and leadership development expert. She is the Principal Consultant and Practice Leader for Culture and Inclusion at Kadabra.